Monday, March 29, 2010

Listen to your body

I mentioned a while back that I had been a bit sick. I understated the situation. I was very sick for too long.

For the first time since I was a teenager I got a urinary tract infection. The memory of the intense pressure and razor blade sharp pain came rushing back to me the second it started. My mom rushed out to get me a jumbo jar of cranberry extract pills and an even bigger bottle of cranberry juice. She also brought home an over the counter medicine called AZO that relieves the symptoms (and turn my pee neon orange) while the cranberry does its magic.

The home treatment seemed to be working. I felt much better as long as I took the pills daily and on time. Life kept going as usual. I even double fisted my beer and cranberry juice at the GNO at Universal City Walk.

Density functional theory data (PBE) for a relaxed AsPIr crystal.

Geometry as CIF:
```
data_AsPIr
_chemical_formula_sum 'As4 P4 Ir4'
_space_group_name_H-M_alt 'P 1 21 1'
_space_group_IT_number 4
_space_group_name_Hall 'P 2yb'
_cell_length_a 5.9712
_cell_length_b 5.9893
_cell_length_c 6.0777
_cell_angle_alpha 90.00
_cell_angle_beta 112.29
_cell_angle_gamma 90.00
loop_
_atom_site_label
_atom_site_fract_x
_atom_site_fract_y
_atom_site_fract_z
As1 0.1583 0.0000 0.1204
As2 0.3355 0.4976 0.4379
P1 0.1530 0.7463 0.6253
P2 0.3380 0.2515 0.9345
Ir1 0.2627 0.1184 0.5509
Ir2 0.2807 0.6178 0.0325
```

Calculated values
- ΔH_f (0 K): -584 meV per atom
- Total magnetic moment: 0.00 μB/f.u.
- E_tot: -6.89 eV/atom
- Crystal system: monoclinic
- Energy above the most stable polymorph in this dataset: 34.2 meV per atom

Who orders Cranberry at a bar??
Photo credit: JustOneMiss

That Sunday night I started to get cramps in my lower back and abs. They were the worst I have ever felt. I just figured it was gnarly case of PMS thanks to the UTI. I took some Tylenol and crashed out.

On Monday night my daughter came home from her dad's complaining that her ear was bothering her, so I kept her home on Tuesday and schedule for her to see pediatrician the next morning. My dad entertained her while I worked from my rocking chair in my room, but later on in the afternoon I had him take me to my storage unit so that I could get some stuff out. On the car ride home I started to get a horrible cramp in my lower back. By time we got home my entire body was aching and a fever took over. I was shivering uncontrollably unable to get warm. I could barely text Miss letting her know I wouldn't be able to work on our Room 704 post. Then I passed out. Two hours later I woke warm again, but weak and aching.

In the morning I called my doctor for an appointment after my daughter's. After 3 hours at our medical clinic my daughter was diagnosed with an ear infection and I was diagnosed with a kidney infection. We were sent home with antibiotics and told to rest. My pain and fevers lasted for about a week even with the antibiotics and ibuprofen. At the tail end of the second week I woke up with an uncontrollable cough. Once again I found myself in my doctor's office, this time with a lung infection. One more week of high dose antibiotics finally did the trick.

I am still rebuilding my immune system with a new multi vitamin and asthma inhaler. I have also learned my lesson that UTI's CANNOT be cured with cranberry alone.